I cant breathe 3

I worked with my close friend and brother Rjay Barsh, assistant coach at Boise State, on this post. Rjay is a righteous and powerful voice in the wilderness. One of the best coaches and men in the entire coaching, fathering, and preaching world today!

These three words echo in every street corner and home of black men, from 2014 Eric Holder to 2020 George Floyd. The concept of breath for Black America is in jeopardy. Most everyone by now has seen the horrendous footage. Mr. Floyd’s unjust, brutal, and unnecessary death has shook the world. A world that had came to a complete stop as a result of the Corona Virus, is now spinning out of control.

God introduced breath and life to man in Genesis 2:7. I used a picture of a baby coming into this world taking his first breath to remind us all of the value of breath and life. Sadly due to man’s choice in the garden, breath can now be removed by another man. Just look at Cain and Able.

Ruah is a Hebrew word translated with three different words : “wind” or “breath” or “spirit“. I believe it helps us see breath as more than just Oxygen. It is “Spirit”! It is also a name for God the Holy Spirit, the Holy Ruah.

How precious is life? How precious is breath? They are divinely connected. You can’t have one without the other. When my daughter Paige was in 2nd grade, we took a trip to Fort Worth to see friends. Something triggered a severe asthma attack. That night I made a blanket tent and stayed up all night holding her in my arms as she gasps for every breath. The Albuterol machine was not helping as it had the past to counter the asthma attack. It was a very scary night as I prayed to God to help my little Paige breath.

The next morning I made a dangerous decision. Do I take Paige to the local ER or make the 6-7 hour drive back home to Siloam Springs, Arkansas to take her to our local doctor and hospital. I made the wrong choice. When dealing with life and breathing, never take it for granted. “I can’t BREATHE”.

All the way home, I watched the life and breath slowly leave my beautiful innocent little angel. She was taking hit after hit on her Albuterol asthma medicine. I felt helpless as nothing seemed to stop the attack. Paige just kept saying three words “I Can’t BREATHE”.

When i finally rolled into our driveway in Siloam, it was only to pick up my wife Sheri and head to the Emergency Room. The ER doctor told us if we had not arrived when we did, Paige could have suffered some serious results including death. Her Oxygen level was so low that she was barely hanging on to life.

As soon as Paige was able to travel, which was in about three days, we took her to Arkansas Children’s Hospital in Little Rock to see specialist. It was a very challenging couple of days as doctors put Paige through test after test while telling us nothing. Finally it was time to hear the fearful news! I will finish this miracle filled story a little later.

On the last few days of my father’s life, we found ourselves in a hospital in Joplin. The doctor decided our last hope of extending dad’s cancer riddled life was to try a new medicine. Dad was barely hanging on to life as night approached. This medicine gave us hope.

I kept hearing dad try to say something, but I could not quite understand what he was whispering. It was at that time, mom realized exactly what dad was saying, “I can’t BREATHE”. Dad was having an allergic reaction to the new medicine. His throat was swelling shut. Just in the brink of time, we were able to give him something to reverse the allergic reaction and prevent him from suffocating.

This may sound meaningless considering dad went home to see Jesus just hours later, but I cherish every second and word we shared together those hours. I realized then how valuable every second and every breath is in life.

We must learn as a human race to allow the Holy Spirit, God’s Breath, to breathe peace, love, and healing power into our nation! How? Through us! We must let Jesus Love show up in each of us. Can The Holy Spirit still bring power and healing as He did through Jesus? Let’s return to my daughter Paige’s story to answer that question.

As the doctor came out to talk to Sheri and I about the results, fear was pounding on our front door. Would Paige ever recover and how serious is she? Did they find something bad?

[These crystal structures were left in the piece by mistake]
'''
No. 1
This record from the Alexandria database describes a relaxed structure of Ba4H2N. The functional is PBE-GGA.

```
data_Ba4H2N
_chemical_formula_sum 'Ba8 H4 N2'
_space_group_name_H-M_alt 'I -4 2 m'
_space_group_IT_number 121
_space_group_name_Hall 'I -4 2'
_cell_length_a 6.8673
_cell_length_b 6.8673
_cell_length_c 10.8187
_cell_angle_alpha 90.00
_cell_angle_beta 90.00
_cell_angle_gamma 90.00
loop_
_atom_site_label
_atom_site_type_symbol
_atom_site_fract_x
_atom_site_fract_y
_atom_site_fract_z
Ba1 Ba 0.2168 0.2168 0.1321
H1 H 0.0000 0.5000 0.2500
N1 N 0.0000 0.0000 0.0000
```

Summary:
DOS at the Fermi energy = 0.635 states/eV per atom
E above lowest polymorph = 0.0 meV/atom
total DFT energy (no corrections) = -49.84 eV per cell

No. 2
This record from the Alexandria database describes a relaxed structure of K2CeTlBr8. The functional is PBE-GGA.

```
data_K2CeTlBr8
_chemical_formula_sum 'K2 Ce1 Tl1 Br8'
_space_group_name_H-M_alt 'P -1'
_space_group_IT_number 2
_space_group_name_Hall '-P 1'
_cell_length_a 6.3696
_cell_length_b 7.8109
_cell_length_c 10.0070
_cell_angle_alpha 90.22
_cell_angle_beta 90.66
_cell_angle_gamma 90.11
loop_
_atom_site_label
_atom_site_type_symbol
_atom_site_fract_x
_atom_site_fract_y
_atom_site_fract_z
K1 K 0.0068 0.9997 0.2744
Ce1 Ce 0.5000 0.5000 0.5000
Tl1 Tl 0.5000 0.5000 0.0000
Br1 Br 0.2501 0.3778 0.2870
Br2 Br 0.2560 0.3701 0.7085
Br3 Br 0.2669 0.9834 0.9996
Br4 Br 0.2854 0.8116 0.5048
```

Summary:
ΔE_f (raw) = -1344 meV/atom
DOS at the Fermi energy = 0.176 states/eV per atom
total DFT energy (no corrections) = -40.01 eV per cell

No. 3
This record from the Alexandria database describes a relaxed structure of TcSbBr2. The functional is PBE-GGA.

```
data_TcSbBr2
_chemical_formula_sum 'Tc1 Sb1 Br2'
_space_group_name_H-M_alt 'P 1 2/m 1'
_space_group_IT_number 10
_space_group_name_Hall '-P 2y'
_cell_length_a 5.2074
_cell_length_b 3.3410
_cell_length_c 7.6493
_cell_angle_alpha 90.00
_cell_angle_beta 109.81
_cell_angle_gamma 90.00
loop_
_atom_site_label
_atom_site_type_symbol
_atom_site_fract_x
_atom_site_fract_y
_atom_site_fract_z
Tc1 Tc 0.0000 0.0000 0.0000
Sb1 Sb 0.5000 0.0000 0.0000
Br1 Br 0.1378 0.5000 0.2755
```

Summary:
ΔE_f (raw) = 57 meV/atom
DOS at the Fermi energy = 0.613 states/eV per atom
E above lowest polymorph = 48.1 meV/atom
total DFT energy (no corrections) = -17.61 eV per cell

Q: Among the records above, which one has the lowest DOS at the Fermi energy?
A: K2CeTlBr8

Q: total DFT energy (no corrections) of number 1 (Ba4H2N)?
A: -49.84 eV per cell

Copy entry 1 word for word.
This record from the Alexandria database describes a relaxed structure of Ba4H2N. The functional is PBE-GGA.

```
data_Ba4H2N
_chemical_formula_sum 'Ba8 H4 N2'
_space_group_name_H-M_alt 'I -4 2 m'
_space_group_IT_number 121
_space_group_name_Hall 'I -4 2'
_cell_length_a 6.8673
_cell_length_b 6.8673
_cell_length_c 10.8187
_cell_angle_alpha 90.00
_cell_angle_beta 90.00
_cell_angle_gamma 90.00
loop_
_atom_site_label
'''
[The crystal structures stop here]

The doctor explained to us that Paige had the worst case of asthma that he had ever seen. He showed us an X-Ray of her small underdeveloped lungs. He told us she would not ever be able to enjoy an active life, definitely no sports. It seemed like many of our dreams for Paige had just been taken away. At least it was not life threatening as they told us Paige would never breath like a normal person.

By having her blow into a device, he showed her breathing level compared to a normal person. He told us we could take Paige home, but he wanted to see us again in a couple weeks.

For two weeks, I saw the determination of a little girl attack satan’s lies. She was set on taking the words that she had heard from the doctor and show him what Jesus could do when we prayed. She blew on the breath tester over and over for two weeks. By the time we went to see the doctor just a couple weeks later. The little girl who said over and over, “I can’t BREATHE”, was doing more than just breathing, she was blowing twice as well as two weeks earlier.

When the doctor took new X-ray of Paige’s lungs, his face said it all. “This can’t be the same little girl!” He showed us the two x-rays, before and after. He just kept repeating there is no scientific way to explain this. It is a miracle, an unexplainable act of God. Paige was healed and has went on to enjoy a highly active and athletic life.

The same power that healed Paige. Ruah, God’s breath, is the only answer to heal our nation today. We need to pray, calling on God to breath life, removing death, end hate, and bring change to our country!

As Rjay and I expressed, Eric Holder and George Floyd’s words “I can’t BREATHE” bring instant emotional memories that hit close to home to many people including each of us. Watching life leave a man was a brutal reminder of how precious life is. As a nation, we have to value life and breath of all people. We must love each other. We must let God breath His healing restoration on us!

I love the story of the old man who told a young kid that he would tell him the secret to success. He told him to meet him on the beach the next morning. He took the young man out into the water until the water came to his shoulders. The young man said, “This has nothing to do with success. All we are doing is walking out deeper and deeper into the water.

At that point to old man reached out took the young man’s head and forced the young man’s head under water. The young man struggled gasping for air. Then the old man did it again. When allowed to breathe, the young man said angrily, “What does this have to do with success?” The old man replied, “When you want to succeed as bad as you want to breathe, you will most likely find it.”

When we want Jesus worse than we want to breathe, then we will be back to beating to the drum of the Master! When the parents of a black young man and the parents of a police officer can both go to sleep at night not fearing something bad might happen to their son or daughter, then we and only then will we be both united and have found the solution to this problem, His name is Jesus! His last three words before he gave up his spirit (Ruah), His finale breath, were not “I can’t BREATHE”. His last words were “It is finished!” Those words apply to racism. Jesus showed us the solution, the example, and sent the Holy Spirit to overcome this demonic weapon of Satan.

Jesus breathed the Holy Spirit (Ruah) into His disciples, then he commanded them to wait until He completed His trip to the Father’s right hand. He told them to wait expectantly until the Helper, our Guide, our Power Source, returns. 50 days later on Pentecost, a weekend we celebrated just last Sunday, the Holy Spirit (The Holy Ruah), the Breath of God became available for each and every one of us. We need the Holy Spirit more than every before. We need Jesus!

Photo by Alex Hockett on Unsplash